Center for American Progress

RELEASE: The United States is Trailing Other Countries on Early Education Investment and Enrollment
Press Release

RELEASE: The United States is Trailing Other Countries on Early Education Investment and Enrollment

• Attached: crystal structures:
********
V2Cd5P8O28 PBE+U relaxed; symmetry = No. 20; size of the total moment = 0.093 μB/atom; final energy = -576.44 eV per cell
1.0
4.459 -5.044 0.000
4.459 5.044 0.000
0.000 0.000 24.549
V Cd P O
4 10 16 56
direct
0.072 0.760 0.878
0.240 0.928 0.622
0.760 0.072 0.122
0.928 0.240 0.378
0.158 0.452 0.137
0.197 0.197 0.500
0.203 0.797 0.250
0.414 0.414 0.000
0.452 0.158 0.863
0.548 0.842 0.363
0.586 0.586 0.500
0.797 0.203 0.750
0.803 0.803 0.000
0.842 0.548 0.637
0.029 0.758 0.386
0.106 0.699 0.507
0.203 0.296 0.270
0.242 0.971 0.114
0.296 0.203 0.730
0.301 0.894 0.993
0.337 0.431 0.626
0.431 0.337 0.374
0.569 0.663 0.874
0.663 0.569 0.126
0.699 0.106 0.493
0.704 0.797 0.230
0.758 0.029 0.614
0.797 0.704 0.770
0.894 0.301 0.007
0.971 0.242 0.886
0.007 0.247 0.303
0.069 0.458 0.885
0.085 0.117 0.125
0.097 0.809 0.449
0.099 0.387 0.028
0.116 0.799 0.960
0.117 0.085 0.875
0.119 0.276 0.758
0.188 0.467 0.229
0.191 0.903 0.051
0.196 0.598 0.629
0.200 0.785 0.149
0.201 0.884 0.540
0.215 0.800 0.351
0.233 0.236 0.599
0.236 0.233 0.401
0.247 0.007 0.697
0.247 0.539 0.502
0.276 0.119 0.242
0.374 0.393 0.313
0.387 0.099 0.972
0.393 0.374 0.687
0.402 0.804 0.871
0.458 0.069 0.115
0.461 0.753 0.998
0.466 0.492 0.098
0.467 0.188 0.771
0.492 0.466 0.902
0.508 0.534 0.402
0.533 0.812 0.271
0.534 0.508 0.598
0.539 0.247 0.498
0.542 0.931 0.615
0.598 0.196 0.371
0.607 0.626 0.187
0.613 0.901 0.472
********
• Here the entry continues:

View the issue brief, infographic, and interactive map

........
No. 1
! Ba6Ag5Pb, optimized geometry, DFT PBE; values from VASP
! spin magnetization = 0.000 μB/f.u.
! formation energy = -0.293 eV per atom
! Fermi-level density of states = 9.73 states/eV/cell
&SYSTEM
  ibrav = 0, nat = 12, ntyp = 3
/
ATOMIC_SPECIES
Ba 137.33 Ba.upf
Ag 107.87 Ag.upf
Pb 207.20 Pb.upf
CELL_PARAMETERS angstrom
-2.9280 4.1951 8.8236
2.9280 -4.1951 8.8236
2.9280 4.1951 -8.8236
ATOMIC_POSITIONS crystal
Ba 0.0819 0.3328 0.7491
Ba 0.2454 0.0000 0.2454
Ba 0.4163 0.6672 0.7491
Ba 0.5837 0.3328 0.2509
Ba 0.7546 0.0000 0.7546
Ba 0.9181 0.6672 0.2509
Ag 0.0000 0.5000 0.5000
Ag 0.1683 0.1683 0.0000
Ag 0.3355 0.8355 0.5000
Ag 0.6645 0.1645 0.5000
Ag 0.8317 0.8317 0.0000
Pb 0.5000 0.5000 0.0000

***

No. 2
! BaAgPb, optimized geometry, DFT PBE; values from VASP
! spin magnetization = 0.001 μB/f.u.
! formation energy = -0.233 eV per atom
! Fermi-level density of states = 18.95 states/eV/cell
&SYSTEM
  ibrav = 0, nat = 12, ntyp = 3
/
ATOMIC_SPECIES
Ba 137.33 Ba.upf
Ag 107.87 Ag.upf
Pb 207.20 Pb.upf
CELL_PARAMETERS angstrom
7.5225 0.0000 0.0000
0.0000 7.5225 0.0000
0.0000 0.0000 7.5225
ATOMIC_POSITIONS crystal
Ba 0.0000 0.0000 0.0000
Ba 0.0000 0.5000 0.5000
Ba 0.5000 0.0000 0.5000
Ba 0.5000 0.5000 0.0000
Ag 0.2500 0.2500 0.2500
Ag 0.2500 0.7500 0.7500
Ag 0.7500 0.2500 0.7500
Ag 0.7500 0.7500 0.2500
Pb 0.0000 0.0000 0.5000
Pb 0.0000 0.5000 0.0000
Pb 0.5000 0.0000 0.0000
Pb 0.5000 0.5000 0.5000

***

No. 3
! Ba2Ag3Pb, optimized geometry, DFT PBE; values from VASP
! ΔE to the lowest computed polymorph = 0.06 eV per formula unit
! spin magnetization = 0.000 μB/f.u.
! formation energy = -0.290 eV per atom
! Fermi-level density of states = 5.83 states/eV/cell
&SYSTEM
  ibrav = 0, nat = 12, ntyp = 3
/
ATOMIC_SPECIES
Ba 137.33 Ba.upf
Ag 107.87 Ag.upf
Pb 207.20 Pb.upf
CELL_PARAMETERS angstrom
4.7716 0.0000 0.0000
0.0000 4.8000 0.0000
0.0000 0.0000 17.4112
ATOMIC_POSITIONS crystal
Ba 0.0000 0.0000 0.0000
Ba 0.0000 0.5000 0.2402
Ba 0.5000 0.0000 0.7402
Ba 0.5000 0.5000 0.5000
Ag 0.0000 0.0000 0.5787
Ag 0.0000 0.5000 0.6613
Ag 0.0000 0.5000 0.8219
Ag 0.5000 0.0000 0.1613
Ag 0.5000 0.0000 0.3219
Ag 0.5000 0.5000 0.0787
Pb 0.0000 0.0000 0.4075
Pb 0.5000 0.5000 0.9075


# TaGaAsBr2

A relaxed TaGaAsBr2 crystal (PBE, Alexandria).

Results
SG ... P4/mmm, No. 123
Formation energy (no corrections) ... 4.6 eV/f.u.
Relative energy among the computed polymorphs ... 929 meV per atom
Electronic total energy ... -18.23 eV/cell

abc: 4.9692 4.9692 5.0876
angles: 90.00 90.00 90.00
Atoms (fractional coordinates):
Ta  0.0000  0.0000  0.0000
Ga  0.5000  0.5000  0.5000
As  0.5000  0.5000  0.0000
Br  0.0000  0.5000  0.5000
Br  0.5000  0.0000  0.5000


The following is a PBE+U calculation of crystalline RbFeF4 at its relaxed geometry, from Alexandria.

## Properties
The value obtained for the density of states at the Fermi level is 0.0 states/eV/f.u. The space group is Pbcm (57). The total energy is -119.76 eV/cell. As for the spin magnetization: 5.0 μB/f.u.

POSCAR file:
```
........

Washington, D.C. – Compared to other developed nations, the United States lags far behind on preschool access, quality, and investment, according to a new analysis released today by the Center for American Progress. The United States enrolls only 69 percent of 4-year-old children in early education, trailing more than two-dozen countries in the Organisation for Economic Co-operation and Development. America also lags behind in 3-year-old preschool participation, the typical age children begin early childhood programs, our teacher-to-child ratios, and our investment in early childhood.

Studies show that high-quality early childhood education can significantly improve a child’s preliteracy, prewriting, and premath skills. These vital skills have been linked to third-grade reading achievement—a predictor of high school graduation—and to success in math in secondary school later in life. School readiness and the skills gained from high-quality early education are both essential to educating a strong workforce that is able to successfully compete in the global economy. While other nations are making serious and significant commitments to expanding access to early childhood education and educating a globally competitive workforce, the United States has yet to follow suit.

Records of crystals that have nothing to do with the article:
-- begin --
# 1
Entry from Alexandria via LeMat-Bulk: a geometry-optimized Er3Co3Si8 structure (PBE-GGA).

E_form (uncorrected): -528.7 meV/atom
Energy relative to the lowest polymorph listed for this composition: 0 meV/atom
M_tot: 0.8 Bohr magnetons per cell

a b c (Å): 4.028 7.594 7.594
angles (deg): 76.44 74.62 74.62
Last column: magnetic moment on the atom in μB.
Element x y z (fractional)
Er 0.500 0.500 0.500  0.02
Er 0.818 0.182 0.182  0.02
Er 0.182 0.818 0.818  0.02
Co 0.500 0.000 0.000  0.47
Co 0.000 0.774 0.226  0.12
Co 0.000 0.226 0.774  0.12
Si 0.617 0.090 0.676  0.01
Si 0.383 0.910 0.324  0.01
Si 0.617 0.676 0.090  0.01
Si 0.383 0.324 0.910  0.01
Si 0.836 0.797 0.531  0.00
Si 0.164 0.203 0.469  0.00
Si 0.836 0.531 0.797  0.00
Si 0.164 0.469 0.203  0.00

# 2
Entry from Alexandria via LeMat-Bulk: a geometry-optimized Er4CoSi3 structure (PBE-GGA).

E_form (uncorrected): -675.9 meV/atom
M_tot: 0.0 Bohr magnetons per cell

a b c (Å): 4.174 3.796 10.486
angles (deg): 90.00 90.00 90.00
Element x y z (fractional)
Er 0.500 0.500 0.352
Er 0.000 0.500 0.861
Er 0.000 0.000 0.137
Er 0.500 0.000 0.644
Co 0.500 0.500 0.069
Si 0.000 0.500 0.576
Si 0.000 0.000 0.429
Si 0.500 0.000 0.932

# 3
Entry from Alexandria via LeMat-Bulk: a geometry-optimized Er12Co6Si structure (PBE-GGA).

E_form (uncorrected): -271.8 meV/atom
M_tot: 0.0 Bohr magnetons per cell

a b c (Å): 8.210 8.210 8.210
angles (deg): 109.47 109.47 109.47
Element x y z (fractional)
Er 0.299 0.105 0.806
Er 0.299 0.493 0.194
Er 0.701 0.507 0.806
Er 0.701 0.895 0.194
Er 0.105 0.806 0.299
Er 0.493 0.194 0.299
Er 0.507 0.806 0.701
Er 0.895 0.194 0.701
Er 0.806 0.299 0.105
Er 0.194 0.299 0.493
Er 0.806 0.701 0.507
Er 0.194 0.701 0.895
Co 0.385 0.500 0.885
Co 0.615 0.500 0.115
Co 0.500 0.885 0.385
Co 0.500 0.115 0.615
Co 0.885 0.385 0.500
Co 0.115 0.615 0.500
Si 0.000 0.000 0.000

# 4
Entry from Alexandria via LeMat-Bulk: a geometry-optimized ErCoSi2Tc structure (PBE-GGA).

E_form (uncorrected): -714.1 meV/atom
M_tot: 0.0 Bohr magnetons per cell

a b c (Å): 4.071 4.071 5.607
angles (deg): 111.28 111.28 90.00
Element x y z (fractional)
Er 0.000 0.000 0.000
Co 0.250 0.750 0.500
Si 0.629 0.629 0.258
Si 0.371 0.371 0.742
Tc 0.750 0.250 0.500

# 5
Entry from Alexandria via LeMat-Bulk: a geometry-optimized ErCoSi3Tc structure (PBE-GGA).

E_form (uncorrected): -346.3 meV/atom
M_tot: 0.0 Bohr magnetons per cell

a b c (Å): 5.394 7.402 6.497
angles (deg): 124.73 90.00 90.00
Element x y z (fractional)
Er 0.750 0.243 0.487
Er 0.250 0.757 0.513
Co 0.250 0.036 0.072
Co 0.750 0.964 0.928
Si 0.250 0.231 0.463
Si 0.000 0.242 0.000
Si 0.500 0.758 0.000
Si 0.500 0.242 0.000
Si 0.000 0.758 0.000
Si 0.750 0.769 0.537
Tc 0.250 0.441 0.881
Tc 0.750 0.559 0.119

# 6
Entry from Alexandria via LeMat-Bulk: a geometry-optimized Er2ZnCo5Si2 structure (PBE-GGA).

E_form (uncorrected): -403.8 meV/atom
M_tot: 0.0 Bohr magnetons per cell

a b c (Å): 3.255 9.346 9.346
angles (deg): 90.00 90.00 90.00
Element x y z (fractional)
-- stop --
The article goes on:

Both the Center for American Progress and President Barack Obama have proposed significantly expanding access to high-quality preschool. Included in his FY 2014 budget proposal, President Obama’s proposal for a bold new $75 billion investment in preschool over 10 years would significantly shrink the preschool-access gap by helping states establish and expand high-quality programs. The president’s budget outline also included important investments to support the nation’s youngest children and working parents, including $1.4 billion in FY 2014 to expand high-quality child care for infants and toddlers and $15 billion over 10 years to expand states’ home-visiting programs for at-risk families.

Issue brief: The United States is Far Behind Other Countries on Pre-K by Juliana Herman, Sasha Post, and Scott O’Halloran
Infographic: We’re Getting Beat on Preschool by Juliana Herman, Sasha Post, and Scott O’Halloran
Interactive map: The United States is Getting Beat on Preschool by Juliana Herman, Sasha Post, and Scott O’Halloran

To speak with a CAP expert on this topic,
contact Katie Peters at [email protected] or 202.731.5951.
